Sh. Raj Singh Niranjan is the Managing
Partner of Trans India Law Associates (,
the largest Law firm in the World in Energy Sector.
What started as a simple Legal practice in 1984 is
today a global provider of Energy Laws, solutions,
covering Solar, Wind, Hydro, Thermal and Corporate
Laws services in over 723 Districts across INDIA
supported by 10,786 Professionals (Attorneys/ CA/
CS/ Experts), 51 Global Legal Partners and 9
........
The following is a DFT calculation (ωB97M-V with the def2-TZVPD basis set) of 10 unconnected molecules or ions with the total composition C13H46N12O10 at a distorted geometry.

Each line ends with the Löwdin charge.
Cartesian coordinates (Å):
N: 0.15342 3.79228 3.15620  0.16
C: -0.91008 4.30311 2.68476  -0.62
N: -0.77481 5.50480 2.26281  0.18
O: -2.07513 3.53849 2.46979  -0.12
H: 0.01549 2.90200 3.62286  0.13
H: 1.06294 4.21484 3.26526  0.12
H: -1.54401 5.94608 1.81904  0.12
H: 0.13022 6.03931 2.37927  0.16
N: 1.95943 2.16639 -0.03925  0.17
C: 1.55818 1.52095 -1.08795  -0.58
N: 1.85828 0.25245 -0.96543  0.14
O: 0.75481 2.00017 -2.11440  -0.10
H: 1.75562 3.12692 0.07949  0.12
H: 2.32794 1.74543 0.82304  0.08
H: 1.48472 -0.32169 -1.71356  0.11
H: 2.76777 -0.08518 -0.53733  0.09
N: -0.48802 1.29125 1.42997  0.14
C: -0.65756 -0.00366 1.58350  -0.61
N: 0.26318 -0.72863 0.98817  0.16
O: -1.63494 -0.56117 2.33428  -0.07
H: -1.10743 1.99925 1.85901  0.08
H: 0.08694 1.66656 0.62866  0.10
H: 0.19781 -1.72255 0.97218  0.05
H: 0.88880 -0.34341 0.24819  0.06
N: 0.58246 0.02871 -4.14854  0.14
C: -0.34986 -0.82744 -3.79053  -0.62
N: -0.74699 -0.64308 -2.58066  0.17
O: -0.83076 -1.77001 -4.70102  -0.15
H: 1.01898 -0.06668 -5.11951  0.16
H: 0.99539 0.67993 -3.51067  0.04
H: -1.63442 -1.09560 -2.39516  0.05
H: -0.58329 0.21441 -2.06878  0.09
N: 2.00101 1.39207 2.65687  0.14
C: 2.72647 0.45447 3.19359  -0.62
N: 2.65192 -0.65241 2.55176  0.13
O: 3.61830 0.63387 4.21041  -0.08
H: 2.11256 2.27324 3.11027  0.10
H: 1.07878 1.26625 2.21006  0.05
H: 3.21990 -1.45103 2.91786  0.17
H: 1.80057 -0.86632 2.05156  0.06
N: 5.43864 -1.59165 -1.20457  0.17
C: 4.51334 -1.76761 -0.30497  -0.63
N: 4.15916 -0.65112 0.22512  0.14
O: 3.91271 -2.94929 -0.16420  -0.04
H: 5.76931 -2.40347 -1.74183  0.14
H: 6.15586 -0.85965 -0.97178  0.15
H: 3.71712 -0.70706 1.16186  0.09
H: 4.50787 0.24275 0.01977  0.12
C: -1.62577 -3.49824 -0.94811  -0.07
C: -1.17397 -4.94088 -1.24934  -0.33
O: -0.52808 -5.47067 -0.14610  -0.07
H: -2.40415 -3.64383 -0.19339  0.09
H: -1.98473 -3.08000 -1.84968  0.04
H: -0.72752 -2.95197 -0.52153  0.07
H: -0.67722 -4.99544 -2.20837  0.11
H: -2.08285 -5.50378 -1.38339  0.10
H: 0.14250 -4.80434 0.04585  0.03
C: -1.92769 3.60344 -0.81074  -0.09
C: -3.33100 3.08458 -0.70615  -0.34
O: -4.26933 4.12544 -0.69565  -0.05
H: -1.21873 2.80902 -0.74487  0.02
H: -1.75855 4.37843 -0.02923  0.07
H: -1.70314 4.05969 -1.75753  0.07
H: -3.30110 2.48800 0.27489  0.12
H: -3.55423 2.46030 -1.55185  0.10
H: -5.10878 3.73211 -0.55619  0.07
C: -3.28750 -0.46387 -0.55942  -0.08
C: -4.19815 -0.96540 -1.67067  -0.29
O: -3.40758 -1.26283 -2.78422  -0.10
H: -2.64200 -1.30919 -0.29145  0.05
H: -3.81794 -0.24659 0.38023  0.09
H: -2.64708 0.37277 -0.77360  0.04
H: -4.85399 -0.23937 -2.01528  0.09
H: -4.74367 -1.85347 -1.36434  0.12
H: -4.04566 -1.59271 -3.42389  0.11
C: 0.88153 -3.61537 1.93014  -0.09
O: 1.34303 -3.35798 0.56220  -0.18
H: 1.33860 -2.87166 2.60484  0.07
H: 1.28773 -4.61322 2.15503  0.10
........
representative offices (BANGLADESH - Dhaka, CHINA - Guangzhou, Shenzhen, Shanghai, CAMROON,
MAYANMAR, NEPAL- Kathmandu, POLAND- Warsaw,
SOUTH KOREA- Seoul, UAE-Dubai).
Mr. Niranjan vision and leadership have led TILA to become the fastest-growing
Indian-owned Law Firm in the world, and also Legal Adviser to International
Solar Alliance (ISA), the first UN/Inter-Governmental body to have Head
Quarters in India.
Mr. Niranjan is a published author in key industry publications, a sought-after
speaker, and Father of ‘Right to Energy’ movement and a philanthropist. He
has been Speaker in SNEC-Shanghai, GBF-Guangzhou, National Power
Training Institute (NPTI), Central Board of Irrigation & Power (CBIP), National
Institute of Solar Energy (NISE) and is an advocate for Right to Energy to be
included as a Fundamental Right in all the Constitutions of the World and as a
basic Human Right in Universal Declaration of Human Rights.
As the Parivartan Achievers Award 2017 Winner for Excellent achievement in
the “Legal Field”, Mr. Niranjan is invited across the world for Regulatory
These quantum chemistry results were left in the entry by mistake =
-- begin --
[1]
Molecular formula: C56H61ClN4O2SSbTi
Method: DFT, ωB97M-V/def2-TZVPD

Structure (XYZ):
```
127
Properties=species:S:1:pos:R:3:forces:R:3:lowdin_charge:R:1
Ti -0.4986 1.2429 0.9103 0.55 -0.60 -0.69 0.924
C 4.2954 4.8342 -1.0011 0.01 0.00 -0.02 -0.082
C 3.5794 5.1480 0.3154 -0.01 0.02 0.01 -0.192
C 2.8663 3.9572 0.8722 -0.04 -0.03 0.03 -0.118
C 3.3069 3.0714 1.8149 -0.02 0.01 0.00 -0.117
C 4.6047 3.0738 2.5592 0.01 0.01 0.01 -0.188
C 5.6122 2.0705 1.9928 0.00 -0.02 0.00 -0.082
C 2.2728 2.0707 1.9575 0.04 -0.06 0.09 -0.207
N 1.2497 2.3653 1.1253 -0.22 -0.11 0.05 -0.016
C 1.5602 3.4998 0.4508 -0.04 0.12 -0.12 -0.212
C 0.7444 4.1089 -0.5025 0.07 0.00 0.05 0.079
C -0.5037 3.6989 -0.9540 0.04 0.03 -0.03 -0.213
C -1.2726 4.3314 -2.0019 0.03 -0.01 0.05 -0.117
C -0.8249 5.5162 -2.7972 0.01 0.03 0.01 -0.190
C 0.1331 5.1315 -3.9280 0.01 -0.01 -0.02 -0.081
C -2.4214 3.6065 -2.1444 -0.01 -0.04 0.05 -0.119
C -2.3570 2.5319 -1.1795 -0.08 -0.02 -0.04 -0.212
C -3.3505 1.5671 -0.9635 -0.01 -0.07 0.05 0.050
C -3.3050 0.4910 -0.0913 -0.10 0.09 -0.16 -0.234
N -2.2380 0.1494 0.6856 0.21 0.12 0.17 0.006
C -2.5721 -0.9647 1.3912 0.02 -0.08 0.03 -0.237
C -1.7577 -1.6012 2.3156 0.00 0.01 0.06 0.042
C -0.4851 -1.2082 2.7339 -0.10 -0.12 -0.04 -0.241
N 0.1762 -0.1083 2.2942 -0.19 0.26 0.00 -0.013
C 1.3641 -0.0281 2.9727 0.13 0.04 0.01 -0.200
C 2.3126 0.9655 2.8177 0.02 0.00 0.01 0.078
C 1.4605 -1.1528 3.8805 -0.01 0.02 -0.03 -0.107
C 0.3259 -1.8898 3.7211 0.00 0.02 -0.04 -0.114
C -0.0202 -3.2025 4.3471 -0.02 0.01 0.02 -0.184
C 0.2984 -4.3722 3.4114 0.01 -0.01 -0.04 -0.080
C 2.6203 -1.4262 4.7832 -0.01 0.02 0.05 -0.182
C 3.7686 -2.1460 4.0755 -0.02 -0.03 -0.03 -0.073
C -3.9330 -1.3504 1.0577 0.03 0.02 0.00 -0.119
C -4.3914 -0.4430 0.1566 0.02 0.04 0.01 -0.115
C -5.7521 -0.3503 -0.4590 -0.01 -0.02 -0.01 -0.183
C -5.8249 -0.9446 -1.8663 -0.01 -0.01 0.00 -0.081
C -4.6527 -2.5265 1.6347 -0.02 0.05 0.04 -0.182
C -4.2577 -3.8461 0.9715 0.05 -0.03 -0.06 -0.076
N -1.1938 2.6154 -0.4924 0.00 0.00 0.16 -0.017
C -3.5270 3.7974 -3.1336 -0.03 0.01 0.01 -0.190
C -3.4068 2.8504 -4.3310 0.01 -0.03 -0.01 -0.079
H 4.7769 5.7240 -1.4120 0.00 -0.01 0.01 0.068
H 3.5921 4.4497 -1.7416 0.00 0.01 0.00 0.069
H 5.0585 4.0686 -0.8518 -0.01 0.00 0.01 0.068
H 2.8691 5.9644 0.1613 -0.01 -0.01 -0.01 0.107
H 4.3028 5.5147 1.0475 0.00 -0.02 -0.01 0.101
H 4.4205 2.8474 3.6134 -0.01 -0.01 -0.01 0.110
H 5.0308 4.0798 2.5388 0.00 -0.01 -0.02 0.100
H 5.2064 1.0585 2.0214 0.01 0.00 -0.01 0.049
H 6.5452 2.0824 2.5602 -0.01 0.01 0.00 0.072
H 5.8417 2.2985 0.9501 -0.01 0.00 0.01 0.072
H 1.1380 5.0105 -0.9569 0.00 -0.01 0.00 0.108
H -0.3400 6.2398 -2.1366 0.00 -0.01 0.00 0.108
H -1.6970 6.0260 -3.2131 0.00 -0.01 0.00 0.102
H 1.0070 4.6107 -3.5336 0.00 0.01 0.00 0.070
H 0.4741 6.0125 -4.4754 -0.01 0.00 0.01 0.069
H -0.3546 4.4574 -4.6340 0.00 0.00 0.01 0.067
H -4.2590 1.6751 -1.5435 0.01 -0.01 0.00 0.108
H -2.1568 -2.4965 2.7753 0.00 0.02 -0.02 0.110
H 3.2013 0.8686 3.4296 -0.01 0.01 -0.01 0.111
-- stop --
solutions especially in Energy events.
He is a person of eminence, ability, standing and experience in Law. He has special knowledge and Practical Experience in Legal Literature especially laws relating to Constitution of India, Electricity Act, 2003 and Human Rights. He is a Law Graduate (LLB) from Faculty of Law, University of Delhi. Besides being an alumni of prestigious Raj Kumar College (RKC), Raipur and The Daly College, Indore he also has Masters Degree in Management (with First division & Distinction) from IIPS, Indore. Sh. Niranjan has worked for inter alia BSES Yamuna Power Limited (BYPL), Institute of Chartered Accountants of India (ICAI) Statuary body under Ministry of Law, Justice & Company Affairs, National Human Rights Commission (NHRC), Ministry of Food Processing Industry, Govt. of India and Dept. of Animal husbandry, Dairying & Fisheries, Ministry of Agriculture, Govt. of India.
As a group leader of Legal Aid Clinic he coordinated legal aid activities in Juvenile Courts, Beggars Courts and Tihar Jail. As a leading jurist Sh. Niranjan, in many ways, has made exceptional and distinguished service of high order towards the advancement of Legal Literature in India. Sh. Niranjan has written books on Law including Guide to Electricity Laws in India and his articles are regularly published in leading law/technical journals of India.
Education & Court Admissions
- LLB, Law from Delhi University
- MMS, Management from Devi Ahilya Vishwavidyalaya
- Schooling from The Daly College, Indore, Madhya Pradesh & Raj Kumar College, Raipur, Chattisgarh
Leadership & Honors
- Counsel for Govt. of India for Supreme Court.
- Panel Advocate for Suprmee Court for Bhakra Beas Management Board [Govt. of India]
- Legal Advisor to Rail Line Development Authority.
- SJVN Ltd [Jt. Venture of Govt. of Himachal Pradesh & Govt. of India] ,
- M.P. Agro Industries Corporation [Govt. of M.P.]. Practicing as an Advocate for various Court litigation and Arbitration matters in Delhi including cases before Supreme Court of India,
- Delhi High Court & Appellate Tribunal of Electricity
- Specialties: Electricity Act, 2003
- Food Safety and Standards Act, 2006
- Chartered Accountants Act, 1949
- Constitution of India, 1950
- Right to Information Act, 2005
- Supreme Court Bar Association (SCBA)
- All India Management Association (AIMA)
- Computer Society of India (CSI)
- Bar Council of Delhi (BCD)
- Delhi High Court Bar Association (DHBA)
- Old Dalyan Association (ODA)
- New Delhi Bar Association (NDBA)
- International Council Of Jurists (ICJ)
In addition, Mr. Niranjan has served on pro bono basis as President of Resident Welfare Foundation(RWA) and Hon. Secretary of the DR. VIJAY FOUNDATION, which is a non-profit organization working in the field of Health, Education, Environment, livelihoods and Advocacy & Empowerment.
Contact Details
Mobile: +91-9810070075
Email: [email protected]